What is needed: find "1.90 0.2495" and "2.4794 -2.2694" in the material further below, and return these two lines and those between.

# 1
This record from the Open Molecules 2025 dataset describes the molecule C4H7NO2. The level of theory is ωB97M-V/def2-TZVPD.

```
14
Properties=species:S:1:pos:R:3:nbo_charge:R:1
C -1.62 -0.92 0.00 -0.6233
C -0.33 -0.32 -0.51 0.0902
C -0.02 1.10 0.02 -0.2321
N 1.39 0.97 0.28 -0.6506
C 1.82 -0.33 0.28 0.8797
O 2.92 -0.74 0.54 -0.6072
O 0.77 -1.12 -0.07 -0.4991
H -1.65 -0.89 1.09 0.2148
H -1.69 -1.97 -0.32 0.2294
H -2.48 -0.38 -0.40 0.2158
H -0.31 -0.31 -1.61 0.1791
H -0.60 1.33 0.92 0.1838
H -0.23 1.87 -0.73 0.2029
H 2.02 1.72 0.50 0.4168
```

Calculated values
Calculated total energy in eV: -9847.247
HOMO-LUMO gap in Ha: 0.3950
Energy above the lowest of the compared OMol25 structures with the same formula, charge and spin in kcal per mole: 0.8
SMILES string: C[C@H]1CNC(=O)O1

# 2
This record from the Open Molecules 2025 dataset describes the molecule C3H8N4 at a distorted geometry. The level of theory is ωB97M-V/def2-TZVPD.

```
15
Properties=species:S:1:pos:R:3:nbo_charge:R:1
C -0.39 0.27 1.65 -0.6533
N -1.15 1.27 -0.48 -0.4603
C -0.24 0.39 0.16 0.2726
N 2.07 0.27 0.27 -0.5707
C -0.95 -1.20 -1.74 -0.0677
N 0.97 0.49 -0.47 -0.2488
N -1.09 -0.78 -0.55 -0.3660
H -0.87 1.49 -1.44 0.3233
H 2.79 -0.24 -0.21 0.3774
H 2.00 0.10 1.26 0.3562
H -1.45 0.23 1.88 0.2578
H 0.02 1.17 2.14 0.2234
H 0.12 -0.61 2.04 0.2133
H -1.40 -2.17 -1.94 0.1826
H -0.45 -0.67 -2.56 0.1602
```

Calculated values
Calculated total energy in eV: -9195.628
HOMO-LUMO gap (alpha / beta) in Ha: 0.2850 / 0.3070
Energy above the lowest of the compared OMol25 structures with the same formula, charge and spin in kcal per mole: 138.5

# 3
This record from the Open Molecules 2025 dataset describes a structure of composition C2H9N5O at a distorted geometry. The level of theory is ωB97M-V/def2-TZVPD.

```
17
Properties=species:S:1:pos:R:3:nbo_charge:R:1
C -2.59 -0.10 0.70 -0.4207
C 0.44 -0.21 -0.40 0.4980
H -3.24 0.83 0.49 0.2203
H -3.01 -1.13 0.60 0.1955
H -1.99 -0.05 1.57 0.2051
H -2.15 0.10 -1.42 0.3620
H 1.77 -1.77 -0.95 0.3814
H 2.49 0.27 1.16 0.3815
H 1.87 -1.46 1.41 0.3271
H -0.22 1.70 -0.66 0.4022
H 2.24 1.42 -0.97 0.4760
N -1.70 0.20 -0.55 -0.5255
N -0.70 -0.75 -0.85 -0.3745
N 1.79 -0.80 -0.72 -0.5010
N 2.55 -1.00 0.62 -0.6875
N 0.54 1.16 0.07 -0.3633
O 1.89 1.57 -0.10 -0.5766
```

Calculated values
Calculated total energy in eV: -11710.568
HOMO-LUMO gap in Ha: 0.3524
Energy above the lowest of the compared OMol25 structures with the same formula, charge and spin in kcal per mole: 206.2

# 4
This record from the Open Molecules 2025 dataset describes the molecule C5H8N2 at a distorted geometry. The level of theory is ωB97M-V/def2-TZVPD.

```
15
Properties=species:S:1:pos:R:3:nbo_charge:R:1
N -1.52 -0.86 1.58 -0.3448
C -1.43 -0.01 0.80 0.2720
C -0.74 0.88 -0.16 -0.1453
N -1.31 0.92 -1.50 -0.7940
C 0.70 0.36 -0.13 -0.2330
C 1.07 -1.10 -0.20 -0.4282
C 1.22 -0.36 1.10 -0.4240
H -0.75 1.89 0.25 0.2303
H -2.28 1.21 -1.43 0.3624
H -1.31 -0.03 -1.87 0.3614
H 1.36 1.02 -0.69 0.2337
H 0.28 -1.85 -0.26 0.2216
H 1.95 -1.37 -0.78 0.2213
H 2.23 -0.10 1.39 0.2171
H 0.52 -0.60 1.90 0.2495
```

Calculated values
Calculated total energy in eV: -8293.362
HOMO-LUMO gap in Ha: 0.4139
Energy above the lowest of the compared OMol25 structures with the same formula, charge and spin in kcal per mole: 37.7
SMILES string: N#C[C@H](N)C1CC1


Record 1
C2H6NOS | ωB97M-V/def2-TZVPD

relative energy (zero: lowest compared OMol25 entry of this formula, charge and spin) = 33.6 kcal/mol
F_max = 1.6 eV/A
LUMO energy = 4.133 eV
orbital gap = 6.956 eV
charge = -1
highest occupied orbital energy = -2.82 eV

Each line ends with the natural charge from an NBO analysis.
Geometry (Å):
C -2.2053 1.6890 -1.1710  -0.730
S -0.6815 0.8376 -0.7300  -0.724
H -2.3199 2.6954 -0.7360  0.173
H -3.0638 1.1758 -0.7169  0.172
H -2.3972 1.6658 -2.2480  0.177
C 2.3182 -1.3518 1.2681  0.526
N 1.2502 -1.1995 0.4845  -0.846
O 2.4794 -2.2694 2.0704  -0.665
H 3.1882 -0.6868 1.1033  0.092
H 0.8358 -2.1227 0.4582  0.375

H 0.52 -0.60 1.90 0.2495
```

Calculated values
Calculated total energy in eV: -8293.362
HOMO-LUMO gap in Ha: 0.4139
Energy above the lowest of the compared OMol25 structures with the same formula, charge and spin in kcal per mole: 37.7
SMILES string: N#C[C@H](N)C1CC1


Record 1
C2H6NOS | ωB97M-V/def2-TZVPD

relative energy (zero: lowest compared OMol25 entry of this formula, charge and spin) = 33.6 kcal/mol
F_max = 1.6 eV/A
LUMO energy = 4.133 eV
orbital gap = 6.956 eV
charge = -1
highest occupied orbital energy = -2.82 eV

Each line ends with the natural charge from an NBO analysis.
Geometry (Å):
C -2.2053 1.6890 -1.1710  -0.730
S -0.6815 0.8376 -0.7300  -0.724
H -2.3199 2.6954 -0.7360  0.173
H -3.0638 1.1758 -0.7169  0.172
H -2.3972 1.6658 -2.2480  0.177
C 2.3182 -1.3518 1.2681  0.526
N 1.2502 -1.1995 0.4845  -0.846
O 2.4794 -2.2694 2.0704  -0.665